By dmvfail - 15/09/2011 00:13 - United States
Same thing different taste
By that guy - 18/11/2014 00:19
By unlicensed - 01/08/2012 16:20 - United States - Charlotte
By f.m. - 23/07/2018 16:00
By baddriver - 31/01/2012 17:17 - United States
Abort test! Abort test!
By Lindsey - 24/05/2014 15:22 - United States
By Anonymous - 03/11/2010 17:57 - Germany
Sticky situation
By AloneAtPerkins - 26/11/2020 03:58 - United States - West Bend
By Anonymous - 06/01/2010 05:06 - United States
By Brittany - 28/03/2012 02:38 - United States - Kerrville
One tiny mistake
By Anonymous - 02/06/2022 03:00 - United Kingdom - Coventry
Top comments
How do you use a stick shift wrong?
Their car didn't even have a stick shift
13- Believe it or not, I actually read the whole FML before posting. :P I was referencing the douche of an instructor's reason for failing OP.
I think she wanted you to shift her "stick".
### Calculated crystals, as found in the file
Record 1
Compound: AgC2
Source: Alexandria
Functional: PBE
Structure: optimized geometry

Calculated values
uncorrected energy	-5.374	eV per atom
energy above the most stable polymorph in this dataset	1393	meV per atom
energy of formation from the pure elements	1.73	eV per atom
size of the total moment	0.000	μB/atom

Lattice parameters (Å, degrees): 9.518 9.518 2.559 90.00 90.00 164.16
Positions (direct):
1 Ag 0.124 0.876 0.750
2 Ag 0.876 0.124 0.250
3 C 0.515 0.485 0.750
4 C 0.485 0.515 0.250
5 C 0.747 0.253 0.750
6 C 0.253 0.747 0.250



Record 2
Compound: YScI2O
Source: Alexandria
Functional: PBE
Structure: optimized geometry

Calculated values
uncorrected energy	-5.484	eV per atom
energy above the most stable polymorph in this dataset	0	meV per atom
energy relative to the elements, uncorrected	-1312.9	meV per atom
size of the total moment	0.001	μB/atom

Lattice parameters (Å, degrees): 5.948 5.948 3.853 90.00 90.00 90.00
Positions (direct):
1 I 0.000 0.500 0.000
2 I 0.500 0.000 0.000
3 Y 0.500 0.500 0.500
4 Sc 0.000 0.000 0.000
5 O 0.000 0.000 0.500



Record 3
Compound: SiP2Ru
Source: Alexandria
Functional: PBE
Structure: optimized geometry

Calculated values
uncorrected energy	-6.586	eV per atom
energy relative to the elements, uncorrected	-205.9	meV per atom
size of the total moment	0.000	μB/atom

Lattice parameters (Å, degrees): 6.735 3.475 5.951 90.00 95.49 90.00
Positions (direct):
1 Ru 0.525 0.000 0.944
2 Ru 0.525 0.500 0.444
3 Si 0.025 0.000 0.669
4 Si 0.025 0.500 0.169
5 P 0.185 0.000 0.022
6 P 0.185 0.500 0.522
7 P 0.686 0.000 0.625
8 P 0.686 0.500 0.125



Record 4
Compound: Dy3Y4Er
Source: Alexandria
Functional: PBE
Structure: optimized geometry

Calculated values
uncorrected energy	-5.526	eV per atom
energy above the most stable polymorph in this dataset	0	meV per atom
energy of formation from the pure elements	0.00	eV per atom
size of the total moment	0.000	μB/atom

Lattice parameters (Å, degrees): 6.289 7.277 11.247 90.00 90.00 90.00
Positions (direct):
1 Dy 0.649 0.623 0.000
2 Dy 0.979 0.623 0.250
3 Dy 0.479 0.377 0.250
4 Dy 0.149 0.377 0.500
5 Dy 0.479 0.377 0.750
6 Dy 0.979 0.623 0.750
7 Y 0.147 0.873 0.000
8 Y 0.646 0.126 0.000
9 Y 0.983 0.126 0.250
10 Y 0.483 0.874 0.250
11 Y 0.146 0.874 0.500
12 Y 0.647 0.127 0.500
13 Y 0.483 0.874 0.750
14 Y 0.983 0.126 0.750
15 Er 0.149 0.376 0.000
16 Er 0.649 0.624 0.500



Record 5
Compound: LaSm2Sc
Source: Alexandria
Functional: PBE
Structure: optimized geometry

Calculated values
uncorrected energy	-5.130	eV per atom
energy above the most stable polymorph in this dataset	0	meV per atom
energy of formation from the pure elements	0.04	eV per atom
size of the total moment	0.000	μB/atom

Lattice parameters (Å, degrees): 5.086 5.012 5.012 90.00 90.00 90.00
Positions (direct):
1 Sc 0.500 0.000 0.000
2 Sm 0.000 0.000 0.500
3 Sm 0.000 0.500 0.000
4 La 0.500 0.500 0.500



Record 6
Compound: Nd2VBr
Source: Alexandria
Functional: PBE
Structure: optimized geometry

Calculated values
### End of the calculated crystals
32 - Ha. ha. ha. ha.
I think they fail people so easily on purpose. The more attemps it takes the more money they get.
It says on her profile that she is from Iran, but what she said is valid for most of the world except in the USA.
Yay for ease of use...
#39 yeah in most countries most cars are stick shift, therefore you must take your test with a stick shift car, I recently aproved mine (I'm from Ecuador, South America) and believe me its not the same as automatic transmission, it's easy to make shifts and stuff, but there are other issues when driving stick shift, for example it requires a certain amount of skill to pull out your car uphill, or even when you go over a speed bump you run the risk of your car turning off, of course that with a little practice it will be no problem once you get used to it. But believe me, when I was just learning, all those little thing were like hell, and it still takes some practice to do that stuff (specially the uphill part) when you try a new car. Its not the same to pull out uphill on a 1990s subcompact than on an SUV.
Sounds like a sticky shiftuation.
I never had to take a driving test at the DMV here in Texas. Hell, they GAVE me a drivers license after I had my permit for six months. Kinda a fail on their part?
Iran sucks
Lolol iran
spell AMERICA right if you you are going to brag about it asshole this is why everyone hates AMERICAns
That sucks I just finally passed my road test after 5 attempts
That's just wrong on so many levels, for her to do that!!
All driving tests I've heard of require records and paperwork. She had to have written down exactly why you failed. The car's license plate number should also be recorded on the paperwork. If you can prove that you were therefore wrongfully failed, it shouldn't be too difficult to get a re-test -- or even a pass retroactively if there was nothing else in your performance you could be failed for.
You forgot to go through the drive thru. Sit idle as she picked up her dry cleaning and your radio was not playing "working at the car wash"
Well there's you're problem!
Fuuuu I thought I would never see this day.
It happens to the best of us. Your forgiven.
Hahaha SOTY classic move!
I find an acorn every once in a while. :P
What the...?
...why not just complain to the folks inside the DMV, I find it hard to believe, if the situation was explained, they wouldn't help you out.
They will, but it will go something like this *Please proceed to window 6 to file a compliant... 2 hours later... oh i'm sorry sir you have to go window 8 to fill out a written complaint first, then come back here to speak with a supervisor if you still wish to formally submit your complaint... 2 weeks later via mail... sir we'd like to inform you your complaint was successfully submitted to a review panel, and we will inform you of their decision within 7 to 10 business days* DMV's SUCK.
Yeah seriously. My first test this lady started going at a two way stop when it wasn't her turn so I started to stop and at that same moment a gray car came out of nowhere from the parking lot next to us. Even though I was already pretty much stopped the test lady yelled "STOP!" and then lectured me on how they only give licenses to people who pay attention. She made me finish the rest of the test then said that "I failed back there" when she had to tell me to stop the car. She then wrote on my paper that I failed because I gave the other person at the stop sign my right of way. -_-
What the hell? How did she even land that job?
With her eyes closed, obviously.
It's the DMV, they live to make our lives suck. I think it's in the job description.
Damn, they sure can be picky. I remember my drivers test. Believe it or not, I hit one of the DMV workers within the first 2 minutes and still managed to pass.

See? You weren't using it at all.
How do you use a stick shift wrong?